What did you Keto today? Part Deux!

(Running from stupidity) #2641

That’s pretty much my policy right there :slight_smile:

(Running from stupidity) #2642

Spicy things! Pickled jalapenos, dill pickles, sweet chilli sauce, complementing two all-beef hand-crafted burger patties and market-sourced bacon, all with grated mozzarella, cheddar and parmesan melted on them.

(Karen) #2643

Shortbread… we have lots of family members with allergies. This is sugar free, gluten free, dairy free

(Running from stupidity) #2644


yes it is complete, you bloody forum software! #deadset

(Karen) #2645

Yes my first baking with Allulose. It browned up really nicely. The flavor of these shortbread cookies is good, if you like the taste of coconut. Because I’m not using dairy there’s a bit too much water in the cookies and they’re not as crisp as I would like. But they won’t make my daughter sick.

(Running from stupidity) #2646

I’m all in favour of food that achieves this as a priority.

(Running from stupidity) #2647

Chicken thigh schnitzels, a few green beans and some gravy. Sometimes all you need is something simple.


Dinner at a chuan’r place.

Spicy pork belly

Spicy lamb and mushrooms

Fish in hot oil

And a bunch of other things not pictured.

(Running from stupidity) #2649

Oh yeah! Even feeling crook that looks awesome.

(Karen) #2650

Does that look great!

(Sophie) #2651

Your tummy must be made of cast iron! Just looking at the pics give me hot flashes! :fire::fire_extinguisher::smile:

(bulkbiker) #2652

Tonights dinner rose veal steaks sous vide for 6 hours at 53C with some mushrooms in creme fraiche with pepperoni… Picked up Christmas food at the butcher and our friend behind the counter tipped us off about the veal… yummy

Sorry about the knife… @juice

(Running from stupidity) #2653

It’s pretty clear I’m the LEAST-worried person in the forum about cutlery :smiley:


Took a break between Cheese Cakes to sear up some Steaks on the grill, that I had in the Sous Vide for 7 hrs. A Top Sirloin and some Filet Mignons. Split the Top Sirloin with the wife and ate one of the Filet Mignon’s, Deviled Eggs, Sharp Cheese, Shrimp, Olives and Pickles. :yum: … The Filet Mignon’s were very tender, but I still love the charred fat on the Top Sirloin. It just adds so much flavor to each bite. :slight_smile: … Also ate 4 Brazil Nuts & 2 Squares of the Lindt’s 90% Chocolate. … Now back to backing. :slight_smile:

(Sophie) #2655

For a $10 roast, this sure turned out phenom!
And for anyone on the fence about getting a Sous Vide…Just. Do. It! You won’t be sorry. :+1:

(Someone pasted materials data at this point)
- - -
# 1
# LiCa2PbF8
Calculated X-ray diffraction stick pattern, a wavelength of 1.5418 Å. Input: a cell relaxed with PBE.
Peak positions follow from Bragg's law for the DFT cell and can differ from measured ones.

Principal peaks in the range 2θ from 15° to 90°, most intense first:
two_theta  intensity
27.24  100
20.59  57
29.16  52
19.22  44
28.25  40
25.18  33

Structural model:
Lattice parameters (Å, degrees): 3.9846 5.4581 7.7986 85.83 89.53 87.91
Fractional coordinates of all 12 atoms:
Li (0.0000, 0.0000, 0.0000)
Ca (0.4943, 0.4620, 0.7750)
Ca (0.5057, 0.5380, 0.2250)
Pb (0.0000, 0.0000, 0.5000)
F (0.0169, 0.3298, 0.2935)
F (0.0179, 0.1811, 0.7674)
F (0.4320, 0.7497, 0.9708)
F (0.4960, 0.7624, 0.4798)
F (0.5040, 0.2376, 0.5202)
F (0.5680, 0.2503, 0.0292)
F (0.9821, 0.8189, 0.2326)
F (0.9831, 0.6702, 0.7065)

=====

# 2
# LiCaPdF6
Calculated X-ray diffraction stick pattern, a wavelength of 1.5418 Å. Input: a cell relaxed with PBE.
Peak positions follow from Bragg's law for the DFT cell and can differ from measured ones.

Principal peaks in the range 2θ from 15° to 90°, most intense first:
two_theta  intensity
20.02  100
25.55  85
49.34  61
32.10  47
17.49  31
31.13  27

Structural model:
Lattice parameters (Å, degrees): 4.9306 4.9306 10.1417 90.00 90.00 90.00
Fractional coordinates of all 18 atoms:
Li (0.0000, 0.0000, 0.0000)
Li (0.5000, 0.5000, 0.5000)
Ca (0.0000, 0.0000, 0.3479)
Ca (0.5000, 0.5000, 0.8479)
Pd (0.0000, 0.0000, 0.6775)
Pd (0.5000, 0.5000, 0.1775)
F (0.1827, 0.1827, 0.8446)
F (0.2047, 0.2047, 0.5222)
F (0.2183, 0.2183, 0.1747)
F (0.2817, 0.7183, 0.6747)
F (0.2953, 0.7047, 0.0222)
F (0.3173, 0.6827, 0.3446)
F (0.6827, 0.3173, 0.3446)
F (0.7047, 0.2953, 0.0222)
F (0.7183, 0.2817, 0.6747)
F (0.7817, 0.7817, 0.1747)
F (0.7953, 0.7953, 0.5222)
F (0.8173, 0.8173, 0.8446)

=====

# 3
# LiCaRuF6
Calculated X-ray diffraction stick pattern, a wavelength of 1.5418 Å. Input: a cell relaxed with PBE.
Peak positions follow from Bragg's law for the DFT cell and can differ from measured ones.

Principal peaks in the range 2θ from 15° to 90°, most intense first:
two_theta  intensity
21.42  100
26.50  75
50.44  52
38.67  37
33.39  30
17.82  25

Structural model:
Lattice parameters (Å, degrees): 5.2699 5.2699 9.9532 90.00 90.00 120.00
Fractional coordinates of all 18 atoms:
Li (0.3333, 0.6667, 0.2500)
Li (0.6667, 0.3333, 0.7500)
Ca (0.0000, 0.0000, 0.0000)
Ca (0.0000, 0.0000, 0.5000)
Ru (0.3333, 0.6667, 0.7500)
Ru (0.6667, 0.3333, 0.2500)
F (0.0063, 0.3527, 0.6377)
F (0.0063, 0.6535, 0.8623)
F (0.3465, 0.3527, 0.8623)
F (0.3465, 0.9937, 0.6377)
F (0.3527, 0.0063, 0.1377)
F (0.3527, 0.3465, 0.3623)
F (0.6473, 0.6535, 0.6377)
F (0.6473, 0.9937, 0.8623)
F (0.6535, 0.0063, 0.3623)
F (0.6535, 0.6473, 0.1377)
F (0.9937, 0.3465, 0.1377)
F (0.9937, 0.6473, 0.3623)

=====

# 4
# LiCaTmF6
Calculated X-ray diffraction stick pattern, a wavelength of 1.5418 Å. Input: a cell relaxed with PBE.
- - -


My pre Christmas New York.

Snuck in a bit of diet orange Sunkist soda, to try out my pinup glass Christmas gift!


Nice, and I bet that snippet of Orange went quite well with it. :slight_smile: … I wasn’t huge on soda’s in general before going Keto, but did like Coke Zero. (Before they changed it) … But would occasionally sip some of the wife’s, and she liked both the Orange and Grape drinks. Probably because of the nice flavoring. I mostly drink just water anymore, but we do occasionally drink a Bai. I like the Plain Coconut, but they will get other flavors like Blueberry, Watermelon, etc. … But they do come across sweet, and my son and I will both water them down.


I’ve never heard of Bai.
I’m in California so I’ll check it out and see if I can find some. It sounds good. I really like flavored drinks with no sugar and unfortunately I liked the artificial sweetened ones. Since I’m not diabetic I seem to be OK with all of those just not as often as I used to, Cuz they really are too chemical!


This looks wonderful could you please post the recipe?thank you

(Jody) #2660

have you found a keto Thousand Island dressing that you are using?